Given =
=====
# 1
Material: LiCu2Sb
Method: DFT, PBE
State: relaxed

Values from the calculation:
* total energy: -3.3612 eV per atom

a b c (Å): 6.2413 6.2413 6.2413
angles (deg): 90.00 90.00 90.00
Positions (direct):
1 Sb 0.5000 0.0000 0.5000
2 Sb 0.5000 0.5000 0.0000
3 Sb 0.5000 0.5000 0.5000
4 Sb 0.0000 0.5000 0.5000
5 Cu 0.7803 0.7803 0.7803
6 Cu 0.7803 0.7803 0.2197
7 Cu 0.7803 0.2197 0.2197
8 Cu 0.2197 0.7803 0.2197
9 Cu 0.2197 0.7803 0.7803
10 Cu 0.7803 0.2197 0.7803
11 Cu 0.2197 0.2197 0.2197
12 Cu 0.2197 0.2197 0.7803
13 Li 0.0000 0.0000 0.0000
14 Li 0.5000 0.0000 0.0000
15 Li 0.0000 0.5000 0.0000
16 Li 0.0000 0.0000 0.5000

# 2
Material: Li4Cu2SiSb
Method: DFT, PBE
State: relaxed

Values from the calculation:
* total energy: -3.4309 eV per atom

a b c (Å): 4.2297 4.2297 6.1458
angles (deg): 90.00 90.00 90.00
Positions (direct):
1 Cu 0.5000 0.0000 0.2818
2 Cu 0.0000 0.5000 0.7182
3 Li 0.0000 0.0000 0.5000
4 Li 0.5000 0.5000 0.0000
5 Li 0.5000 0.0000 0.7279
6 Li 0.0000 0.5000 0.2721
7 Si 0.5000 0.5000 0.5000
8 Sb 0.0000 0.0000 0.0000

# 3
Material: LiCuTcSb
Method: DFT, PBE
State: relaxed

Values from the calculation:
* excess energy over the best structure of this formula in the dataset: 0.00 eV per formula unit
* size of the total moment: 0.00 μB/cell

a b c (Å): 4.3950 4.3950 4.3950
angles (deg): 60.00 60.00 60.00
Positions (direct):
1 Tc 0.2500 0.2500 0.2500
2 Li 0.5000 0.5000 0.5000
3 Sb 0.0000 0.0000 0.0000
4 Cu 0.7500 0.7500 0.7500

# 4
Material: LiCuTcSb
Method: DFT, PBE
State: relaxed

Values from the calculation:
* excess energy over the best structure of this formula in the dataset: 1.02 eV per formula unit
* size of the total moment: 0.03 μB/cell

a b c (Å): 4.3742 4.3742 4.3742
angles (deg): 60.00 60.00 60.00
Positions (direct):
1 Tc 0.5000 0.5000 0.5000
2 Cu 0.7500 0.7500 0.7500
3 Sb 0.0000 0.0000 0.0000
4 Li 0.2500 0.2500 0.2500

# 5
Material: LiCuSbW
Method: DFT, PBE
State: relaxed

Values from the calculation:
* excess energy over the best structure of this formula in the dataset: 0.00 eV per formula unit
* size of the total moment: 0.02 μB/cell

a b c (Å): 4.4701 4.4701 4.4701
angles (deg): 60.00 60.00 60.00
Positions (direct):
1 Cu 0.7500 0.7500 0.7500
2 Sb 0.0000 0.0000 0.0000
3 Li 0.5000 0.5000 0.5000
4 W 0.2500 0.2500 0.2500

# 6
Material: LiCuSbW
Method: DFT, PBE
State: relaxed

Values from the calculation:
* excess energy over the best structure of this formula in the dataset: 0.73 eV per formula unit
* size of the total moment: 1.55 μB/cell

a b c (Å): 4.4598 4.4598 4.4598
angles (deg): 60.00 60.00 60.00
Positions (direct):
1 Cu 0.7500 0.7500 0.7500
2 Sb 0.0000 0.0000 0.0000
3 Li 0.2500 0.2500 0.2500
4 W 0.5000 0.5000 0.5000

# 7
Material: LiYCuSb
Method: DFT, PBE
State: relaxed

Values from the calculation:
* excess energy over the best structure of this formula in the dataset: 0.58 eV per formula unit
* size of the total moment: 0.00 μB/cell

a b c (Å): 4.8848 4.8848 4.8848
angles (deg): 60.00 60.00 60.00
Positions (direct):
1 Cu 0.7500 0.7500 0.7500
2 Li 0.5000 0.5000 0.5000
3 Y 0.2500 0.2500 0.2500
4 Sb 0.0000 0.0000 0.0000

# 8
Material: LiYCuSb
Method: DFT, PBE
State: relaxed

Values from the calculation:
* excess energy over the best structure of this formula in the dataset: 0.00 eV per formula unit
* size of the total moment: 0.00 μB/cell

a b c (Å): 4.7468 4.7468 4.7468
angles (deg): 60.00 60.00 60.00
Positions (direct):
1 Cu 0.7500 0.7500 0.7500
2 Li 0.2500 0.2500 0.2500
3 Y 0.5000 0.5000 0.5000
4 Sb 0.0000 0.0000 0.0000

# 9
Material: LiZnCuSb
Method: DFT, PBE
State: relaxed

Values from the calculation:
* excess energy over the best structure of this formula in the dataset: 0.00 eV per formula unit

a b c (Å): 4.5276 4.5276 4.5276
angles (deg): 60.00 60.00 60.00
Positions (direct):
1 Cu 0.2500 0.2500 0.2500
2 Sb 0.0000 0.0000 0.0000
3 Zn 0.5000 0.5000 0.5000
4 Li 0.7500 0.7500 0.7500

# 10
Material: LiZrCuSb
Method: DFT, PBE
State: relaxed

Values from the calculation:
=====
Work order =
Next, give back only the lines above with the word "LiCuTcSb" in them.
Completed =
Material: LiCuTcSb
Material: LiCuTcSb